_What to do_
The reader should restate the part of the calculation results below that starts with the line with "-12.788" and stops after the one with "1.71".
_Given_
........
# 1
This record from the Open Molecules 2025 dataset describes C35H58N4O3P2PdS as an isolated structure in a non-equilibrium geometry. The level of theory is ωB97M-V with the def2-TZVPD basis set.

Last column: Mulliken charge in e.
Element x y z (Å)
Pd -21.421 -1.358 -9.888  0.34
C -20.169 -2.119 -6.638  -1.41
P -19.856 -1.131 -8.137  1.37
C -18.315 -1.918 -8.578  0.35
N -17.191 -1.674 -7.885  -0.24
C -16.066 -2.448 -8.261  0.08
C -14.869 -2.318 -7.524  -0.61
C -13.812 -3.139 -7.871  -0.54
C -13.889 -3.995 -8.994  -0.44
C -15.044 -4.151 -9.735  -0.80
C -16.199 -3.443 -9.287  0.41
N -17.438 -3.760 -9.799  -0.09
C -18.430 -2.907 -9.497  -1.29
P -19.937 -2.992 -10.467  1.24
C -19.395 -2.584 -12.113  -0.75
C -20.541 -4.767 -10.376  1.80
C -19.549 -5.766 -11.004  -1.43
C -21.811 -4.786 -11.245  -1.68
C -20.920 -5.169 -8.953  -1.26
C -19.292 0.579 -7.677  2.37
C -18.598 0.659 -6.282  -1.72
C -18.352 1.101 -8.748  -1.91
C -20.565 1.453 -7.575  -1.22
H -19.234 -2.319 -6.068  0.28
H -20.584 -3.071 -6.935  0.33
H -20.926 -1.609 -6.005  0.40
H -14.790 -1.503 -6.814  0.44
H -12.882 -3.050 -7.320  0.39
H -13.005 -4.554 -9.242  0.42
H -15.131 -4.888 -10.551  0.44
H -18.820 -3.421 -12.585  0.38
H -18.748 -1.699 -12.066  0.00
H -20.291 -2.331 -12.692  0.16
H -19.616 -5.826 -12.095  0.35
H -19.728 -6.800 -10.557  0.41
H -18.487 -5.462 -10.779  0.14
H -21.614 -4.501 -12.294  0.34
H -22.610 -4.113 -10.805  0.11
H -22.294 -5.771 -11.226  0.47
H -20.016 -5.100 -8.281  0.17
H -21.299 -6.214 -8.971  0.61
H -21.692 -4.491 -8.532  -0.15
H -17.958 -0.234 -6.077  0.24
H -19.349 0.780 -5.490  0.35
H -17.985 1.574 -6.258  0.49
H -17.440 0.475 -8.756  0.26
H -18.067 2.114 -8.423  0.70
H -18.763 1.155 -9.815  -0.01
H -21.295 1.127 -6.804  0.39
H -21.105 1.476 -8.541  -0.38
H -20.204 2.499 -7.419  0.51
N -23.930 -1.287 -8.288  -0.27
C -24.782 -2.367 -8.404  0.88
C -25.630 -2.486 -9.509  -0.49
C -26.273 -3.677 -9.746  -0.39
C -26.231 -4.718 -8.788  -0.79
C -25.549 -4.476 -7.581  -0.46
C -24.804 -3.339 -7.403  -0.50
H -23.454 -1.178 -7.387  0.16
H -24.318 -0.351 -8.546  0.15
H -25.803 -1.639 -10.213  0.19
H -26.710 -3.826 -10.736  0.34
H -26.756 -5.628 -8.950  0.45
H -25.613 -5.204 -6.774  0.36
H -24.232 -3.217 -6.465  0.31
O -15.885 -0.714 -12.541  -0.59
C -16.645 0.398 -12.199  -0.34
O -17.857 0.334 -12.083  -0.56
C -15.785 1.612 -11.952  1.12
N -14.355 1.343 -12.274  -0.53
C -13.751 2.525 -12.876  -0.74
C -14.851 3.629 -12.832  -0.61
C -16.152 2.837 -12.763  -0.70
H -15.771 1.837 -10.863  0.19
H -14.946 -0.396 -12.686  0.40
H -13.766 1.095 -11.490  0.27
H -13.432 2.260 -13.928  0.28
H -12.781 2.780 -12.417  0.30
H -14.804 4.325 -13.653  0.41
H -14.694 4.225 -11.920  0.26
H -16.511 2.536 -13.778  0.36
H -16.951 3.358 -12.232  0.33
C -22.729 4.084 -11.780  -1.22
C -23.673 2.911 -11.390  -0.50
C -23.110 1.779 -10.539  -0.20
S -21.923 0.540 -11.333  0.34
O -20.790 1.257 -11.913  -0.60
C -23.021 -0.219 -12.627  -0.39
C -23.129 0.519 -13.980  -0.22
C -22.095 0.127 -15.044  -1.25
H -23.296 4.796 -12.382  0.40
H -21.899 3.718 -12.378  0.24
H -22.329 4.577 -10.879  0.34
H -24.068 2.424 -12.314  0.24
H -24.567 3.368 -10.886  0.38
H -23.941 1.155 -10.082  -0.15
H -22.587 2.234 -9.658  0.29
H -24.009 -0.292 -12.124  0.14
H -22.663 -1.257 -12.788  0.23
H -23.043 1.613 -13.856  0.08
H -24.171 0.315 -14.376  0.34
H -21.083 0.541 -14.814  0.22
H -22.388 0.458 -16.065  0.38
H -22.014 -0.954 -15.080  0.33

Properties
* Kohn-Sham gap: 4.60 eV
* E: -82230.536 eV
* total charge: 0

***

# 2
This record from the Open Molecules 2025 dataset describes a 23-piece molecular cluster, C78H210N8O31 overall in a non-equilibrium geometry. The level of theory is ωB97M-V with the def2-TZVPD basis set.

Last column: Mulliken charge in e.
Element x y z (Å)
C 2.259 -2.561 3.162  0.50
O 2.882 -2.455 1.926  0.39
C 2.181 -3.144 0.853  0.46
C 0.857 -2.458 0.316  -0.34
N 0.970 -1.026 -0.065  1.71
C -0.235 -0.416 -0.661  -0.91
C 0.057 1.041 -0.940  0.65
O -1.079 1.495 -1.623  0.91
........
_Response_
H -22.663 -1.257 -12.788  0.23
H -23.043 1.613 -13.856  0.08
H -24.171 0.315 -14.376  0.34
H -21.083 0.541 -14.814  0.22
H -22.388 0.458 -16.065  0.38
H -22.014 -0.954 -15.080  0.33

Properties
* Kohn-Sham gap: 4.60 eV
* E: -82230.536 eV
* total charge: 0

***

# 2
This record from the Open Molecules 2025 dataset describes a 23-piece molecular cluster, C78H210N8O31 overall in a non-equilibrium geometry. The level of theory is ωB97M-V with the def2-TZVPD basis set.

Last column: Mulliken charge in e.
Element x y z (Å)
C 2.259 -2.561 3.162  0.50
O 2.882 -2.455 1.926  0.39
C 2.181 -3.144 0.853  0.46
C 0.857 -2.458 0.316  -0.34
N 0.970 -1.026 -0.065  1.71